Discussion List
Report Summary and Grouping: add custom formatting
A few things that would improve Report Summary and Grouping: Ability to format the summary data (IE into $ format) Grouping by contact column Pull summary data as a metric into a Dashboard Thanks!
Date Formula -2w but only a Monday Date
I'm trying to create a formula that uses "Program Date" and returns 2 weeks prior, but on a Monday date. I have this formula to give me -2w but cannot figure out how to make it a Monday date only =[Program Date]@row - 14
Timeline - bars text format
ability to customize text format in bars eg center text or left justify or make text smaller or auto resize to fit to shape
Smartsheet Gantt & Powerpoint Intergrations
Hi, I'm looking for any reccomendations for Intergrations with Smartsheet for more visualy pleasing Gantt Charts, with Swim Lanes ect to allow me to not have to redisgn the Gantt Charts for powerpoints as the Smartsheet reports dont offer the best looking Gants for multiple projects. Any recomendations?
Change cell value automation
I am trying to change a task to started if there is time in the duration column. The duration comes from a cross-sheet formula, I know this automation cannot be triggered by a cross-sheet formula so I setup a duration helper column to be the trigger from the same sheet, but it still does not change the cell value. I want…
Reduce the size of the exported schedule with gantt
I often deal with quite extended schedules (more than 1000rows). Exported pdf size is huge (for 1000rows schedule it can be around 50Mb). For example the same schedule exported in MS Project will have 20 times smaller size. It creates a lot of inconvenience when providing the schedule to the customer. Would be good if…
Alert Someone Email - Save as PDF and Attach to Row
Can the automated email generated by an "Alert Someone" workflow be automatically saved as a PDF and attached to the corresponding row?
Approval Request - Error Message for Contact in Cell
I am trying to set up an approval automation for my Smartsheet for a contact in a cell. When I try and use the contact column I get the error message "please select at least one column that is not a comment or attachment". Also shown in the image attached. There are attachments and comments on most rows, but this hasn't…
How to build a consolidated calendar from many other sheets.
Hi I am currently developing departmental marketing calendars with a team for different portfolio's. For example we have events, B2B, B2C, Digital. Each calendar has past and active/upcoming items. My ultimate goal is to get all the data from the calendars and pull it onto a consolidated calendar for the whole department.…
These records of molecules were left in the article by mistake =
~~~
Entry 1:
ORCA calculation (ωB97M-V/def2-TZVPD) on 2 unconnected molecules or ions with the total composition C3H3N at a distorted geometry.

Each line ends with the Löwdin charge.
Cartesian coordinates (Å):
C (2.077496, -0.176047, -0.040783)  0.08
H (2.701223, -1.046822, -0.109934)  0.02
C (-1.820646, -0.876790, 0.116480)  -0.04
N (-2.227470, 0.220451, -0.074043)  0.02
H (-1.850419, 1.141539, 0.128625)  0.07
C (0.795241, 0.003591, -0.001099)  0.00
H (0.324575, 0.734076, -0.019243)  -0.15

Cartesian forces (eV/Å) of the 3 atoms listed first:
-6.4 -1.7 0.2
1.0 0.4 0.0
-0.8 0.6 -0.3

For the relative energy (zero: lowest compared OMol25 entry of this formula, charge and spin), the calculation gives 512.23 kJ/mol. The calculation puts the gap between HOMO and LUMO at 10.422 eV. The spin multiplicity is 1. The total charge is 0. The max |F| comes out at 0.347 Eh/bohr. Its LUMO energy is -0.198 eV.

---

Entry 2:
ORCA calculation (ωB97M-V/def2-TZVPD) on 2 unconnected molecules or ions with the total composition C7H7N5 at a distorted geometry.

Each line ends with the Löwdin charge.
Cartesian coordinates (Å):
N (1.371211, -2.485663, 0.533548)  0.16
N (1.976805, 0.178185, -2.280395)  0.02
H (-3.378905, -0.873716, 2.354523)  0.12
C (1.845369, 1.423614, -2.827257)  -0.18
C (0.752468, -1.473055, 0.449971)  -0.10
C (-1.711515, 0.429168, 2.204275)  -0.14
H (0.620935, 3.229845, -2.225426)  0.11
C (-2.403243, -0.709692, 1.933203)  -0.13
H (0.011297, 1.295643, -0.143607)  0.11
H (-1.772934, -2.563346, 1.203232)  0.20
N (-0.473565, 0.316068, 1.710368)  0.09
H (2.126001, 1.502907, -3.814721)  0.06
N (-1.578033, -1.539866, 1.343022)  0.10
H (-2.051842, 1.304146, 2.677832)  0.09
N (0.645925, 1.385952, -0.963726)  0.03
H (2.165473, -2.936878, -0.023193)  0.13
C (-0.419534, -0.896628, 1.107699)  -0.33
C (1.288279, 0.224581, -1.193888)  -0.22
C (0.985807, 2.188736, -2.045459)  -0.12

Cartesian forces (eV/Å) of the 3 atoms listed first:
1.9 -3.4 -0.1
0.4 -0.8 0.5
-0.2 -0.8 -0.5

For the relative energy (zero: lowest compared OMol25 entry of this formula, charge and spin), the calculation gives 336.70 kJ/mol. The calculation puts the gap between HOMO and LUMO (alpha / beta) at 8.285 / 8.282 eV. The spin multiplicity is 1. The total charge is 0. The max |F| comes out at 0.096 Eh/bohr. Its LUMO energy (alpha / beta) is 0.206 / 0.207 eV.

---

Entry 3:
ORCA calculation (ωB97M-V/def2-TZVPD) on 19 unconnected molecules or ions with the total composition CH39NO19 at a distorted geometry.

Each line ends with the Löwdin spin population.
Cartesian coordinates (Å):
O (-0.468131, -0.134784, -3.736448)  0.00
H (0.598246, -3.018222, 2.947506)  0.00
O (0.005205, -1.369587, 3.261298)  0.00
O (-2.431850, 3.744659, 0.691613)  0.00
H (3.558098, -2.884482, -1.995002)  0.00
O (-1.231414, 1.949629, 2.059437)  0.00
H (1.005647, 0.853670, -3.954458)  0.01
H (1.526015, 1.252195, 3.638506)  0.00
O (2.269233, 0.679179, 1.058651)  0.00
O (-2.486991, 0.013236, 3.548631)  0.00
~~~
Highlight parent if child task is in the past
Hi I have a sheet that has a column called Task name it has a main task with 4 subtasks (child) below it. The sheet has a Task name, Status and due date column. If the 1st sub task due date is in the past and not marked complete how do I have it highlight the parent of this task Red. If the 1st is complete it is no color…